Request:
It remains to work out how many lines further down have the word "Positions" in them; a number is enough.

Input:
# 1
Pm4Pr8Cd, optimized geometry, DFT PBE-GGA; E_tot = -4.116 eV/atom; total moment = 0.00 μB/cell; space-group type = R-3m (166)
1.0
5.8936 3.4026 3.9242
-5.8936 3.4026 3.9242
0.0000 -6.8053 3.9242
Pm Pr Cd
4 8 1
Direct
0.0000 0.0000 0.0000 Pm
0.0000 0.5000 0.5000 Pm
0.5000 0.0000 0.5000 Pm
0.5000 0.5000 0.0000 Pm
0.1684 0.1684 0.6658 Pr
0.1684 0.6658 0.1684 Pr
0.2430 0.2430 0.2430 Pr
0.3342 0.8316 0.8316 Pr
0.6658 0.1684 0.1684 Pr
0.7570 0.7570 0.7570 Pr
0.8316 0.3342 0.8316 Pr
0.8316 0.8316 0.3342 Pr
0.5000 0.5000 0.5000 Cd

# 2
Sc3Cu4Si4, optimized geometry, DFT PBE-GGA; E_tot = -5.731 eV/atom; total moment = 0.00 μB/cell; space-group type = C2/m (12)
1.0
12.0873 -1.9711 0.0000
12.0873 1.9711 0.0000
-0.5528 0.0000 3.6253
Sc Cu Si
3 4 4
Direct
0.0000 0.0000 0.0000 Sc
0.3526 0.3526 0.8522 Sc
0.6474 0.6474 0.1478 Sc
0.0949 0.0949 0.5951 Cu
0.2530 0.2530 0.2527 Cu
0.7470 0.7470 0.7473 Cu
0.9051 0.9051 0.4049 Cu
0.1899 0.1899 0.6905 Si
0.4516 0.4516 0.4508 Si
0.5484 0.5484 0.5492 Si
0.8101 0.8101 0.3095 Si

no.,calculated volume (Å³/cell)
1,472
2,173

----------

1.
Compound: NbAgGe2
Source: the Alexandria database
Functional: PBE
Structure: relaxed

Summary:
The formation energy comes out at 0.3615 eV per atom. Its calculated volume is 149.8 Å³/cell. Its total energy is -41.4 eV per cell.

Cell lengths 5.832, 5.832, 5.832 Å; angles 105.16, 105.16, 118.49 degrees
Positions (direct):
Nb 0.000 0.000 0.000
Nb 0.750 0.250 0.500
Ag 0.250 0.750 0.500
Ag 0.500 0.500 0.000
Ge 0.135 0.625 0.010
Ge 0.375 0.385 0.510
Ge 0.615 0.125 0.990
Ge 0.875 0.865 0.490

=====

2.
Compound: NbAg3Ge
Source: the Alexandria database
Functional: PBE
Structure: relaxed

Summary:
The formation energy comes out at 0.9411 eV per atom. Its calculated volume is 111.9 Å³/cell. Its total energy is -18.5 eV per cell.

Cell lengths 4.819, 4.819, 4.819 Å; angles 90.00, 90.00, 90.00 degrees
Positions (direct):
Nb 0.000 0.000 0.000
Ag 0.000 0.500 0.500
Ag 0.500 0.000 0.500
Ag 0.500 0.500 0.000
Ge 0.500 0.500 0.500

=====

3.
Compound: NbAg3Ge
Source: the Alexandria database
Functional: PBE
Structure: relaxed

Summary:
The formation energy comes out at 1.5312 eV per atom. Its calculated volume is 138.0 Å³/cell. Its total energy is -15.6 eV per cell.

Cell lengths 5.167, 5.167, 5.167 Å; angles 90.00, 90.00, 90.00 degrees
Positions (direct):
Nb 0.000 0.000 0.000
Ag 0.000 0.000 0.500
Ag 0.000 0.500 0.000
Ag 0.500 0.000 0.000
Ge 0.500 0.500 0.500

=====

4.
Compound: NbAgGe2
Source: the Alexandria database
Functional: PBE
Structure: relaxed

Summary:
The formation energy comes out at 0.2378 eV per atom. Its calculated volume is 69.8 Å³/cell. Its total energy is -21.2 eV per cell.

Cell lengths 4.621, 4.621, 4.621 Å; angles 60.00, 60.00, 60.00 degrees
Positions (direct):
Nb 0.000 0.000 0.000
Ag 0.500 0.500 0.500
Ge 0.250 0.250 0.250
Ge 0.750 0.750 0.750

=====

5.
Compound: NbAg2Ge2
Source: the Alexandria database
Functional: PBE
Structure: relaxed

Summary:
The formation energy comes out at 0.2009 eV per atom. Its calculated volume is 178.3 Å³/cell. Its total energy is -48.0 eV per cell.

Cell lengths 7.514, 7.514, 3.157 Å; angles 90.00, 90.00, 90.00 degrees
Positions (direct):
Nb 0.000 0.000 0.000
Nb 0.500 0.500 0.000
Ag 0.137 0.363 0.500
Ag 0.363 0.863 0.500
Ag 0.637 0.137 0.500
Ag 0.863 0.637 0.500
Ge 0.164 0.664 0.000
Ge 0.336 0.164 0.000
Ge 0.664 0.836 0.000
Ge 0.836 0.336 0.000

=====

6.
Compound: Nb3AgGe
Source: the Alexandria database
Functional: PBE
Structure: relaxed

Summary:
The formation energy comes out at 0.9292 eV per atom. Its calculated volume is 108.4 Å³/cell. Its total energy is -33.0 eV per cell.

Cell lengths 4.768, 4.768, 4.768 Å; angles 90.00, 90.00, 90.00 degrees
Positions (direct):
Nb 0.000 0.000 0.500
Nb 0.000 0.500 0.000
Nb 0.500 0.000 0.000
Ag 0.500 0.500 0.500
Ge 0.000 0.000 0.000

=====

7.
Compound: NbAgGe
Source: the Alexandria database
Functional: PBE
Structure: relaxed

Summary:

Here it is:
6